Input:
-- begin --
Record 1
Ni2Sb8Ir: computed powder X-ray diffraction pattern (Cu Kα), based on DFT lattice parameters and positions (PBE).

Largest 10 diffraction maxima, sorted by position, 2θ = 5–70°:
Position (°2θ)	I_rel
14.45	49
29.63	39
30.31	100
33.93	44
36.16	24
41.73	37
42.84	22
45.02	24
47.26	23
48.73	27

Atomic structure:
```
data_Ni2Sb8Ir
_chemical_formula_sum 'Ni4 Sb16 Ir2'
_symmetry_space_group_name_H-M 'C 1 2/m 1'
_symmetry_Int_Tables_number 12
_symmetry_space_group_name_Hall '-C 2y'
_cell_length_a 12.2605
_cell_length_b 8.6606
_cell_length_c 5.2889
_cell_angle_alpha 90.00
_cell_angle_beta 90.67
_cell_angle_gamma 90.00
loop_
_atom_site_label
_atom_site_fract_x
_atom_site_fract_y
_atom_site_fract_z
Ni1 0.1247 0.0000 0.2652
Sb1 0.0860 0.2860 0.2017
Sb2 0.0879 0.0000 0.7455
Sb3 0.1748 0.5000 0.8066
Ir1 0.0000 0.5000 0.5000
```

Record 2
ScNi6Ir: computed powder X-ray diffraction pattern (Cu Kα), based on DFT lattice parameters and positions (PBE).

Largest 10 diffraction maxima, sorted by position, 2θ = 5–70°:
Position (°2θ)	I_rel
19.15	45
27.22	19
33.49	12
38.87	47
43.68	91
48.10	100
56.14	3
59.88	11
63.48	4
66.98	7

Atomic structure:
```
data_ScNi6Ir
_chemical_formula_sum 'Sc1 Ni6 Ir1'
_symmetry_space_group_name_H-M 'P m -3'
_symmetry_Int_Tables_number 200
_symmetry_space_group_name_Hall '-P 2 2 3'
_cell_length_a 4.6340
_cell_length_b 4.6340
_cell_length_c 4.6340
_cell_angle_alpha 90.00
_cell_angle_beta 90.00
_cell_angle_gamma 90.00
loop_
_atom_site_label
_atom_site_fract_x
_atom_site_fract_y
_atom_site_fract_z
Sc1 0.0000 0.0000 0.0000
Ni1 0.0000 0.2555 0.5000
Ir1 0.5000 0.5000 0.5000
```

Record 3
ScNiIr: computed powder X-ray diffraction pattern (Cu Kα), based on DFT lattice parameters and positions (PBE).

Largest 10 diffraction maxima, sorted by position, 2θ = 5–70°:
Position (°2θ)	I_rel
22.11	100
24.95	24
36.94	16
40.88	83
42.29	37
42.59	49
45.10	42
51.03	20
55.29	19
69.23	18

Atomic structure:
```
data_ScNiIr
_chemical_formula_sum 'Sc4 Ni4 Ir4'
_symmetry_space_group_name_H-M 'I m m a'
_symmetry_Int_Tables_number 74
_symmetry_space_group_name_Hall '-I 2b 2'
_cell_length_a 4.8669
_cell_length_b 5.2825
_cell_length_c 7.1365
_cell_angle_alpha 90.00
_cell_angle_beta 90.00
_cell_angle_gamma 90.00
loop_
_atom_site_label
_atom_site_fract_x
_atom_site_fract_y
_atom_site_fract_z
Sc1 0.0000 0.2500 0.1219
Ni1 0.2500 0.2500 0.7500
Ir1 0.0000 0.0000 0.5000
```

Record 4
ScNi6Ir: computed powder X-ray diffraction pattern (Cu Kα), based on DFT lattice parameters and positions (PBE).

Largest 10 diffraction maxima, sorted by position, 2θ = 5–70°:
Position (°2θ)	I_rel
8.51	17
14.85	9
19.08	6
22.70	9
24.22	6
24.44	3
34.68	5
42.75	100
49.61	32
50.10	15

Atomic structure:
```
data_ScNi6Ir
_chemical_formula_sum 'Sc8 Ni48 Ir8'
_symmetry_space_group_name_H-M 'C m m m'
_symmetry_Int_Tables_number 65
_symmetry_space_group_name_Hall '-C 2 2'
_cell_length_a 7.2835
_cell_length_b 10.4063
_cell_length_c 10.3843
_cell_angle_alpha 90.00
_cell_angle_beta 90.00
_cell_angle_gamma 90.00
loop_
_atom_site_label
_atom_site_fract_x
_atom_site_fract_y
_atom_site_fract_z
Sc1 0.0000 0.0000 0.2500
Sc2 0.0000 0.2475 0.0000
Ni1 0.0000 0.0000 0.0000
Ni2 0.0000 0.0000 0.5000
Ni3 0.0000 0.2541 0.2565
Ni4 0.0000 0.5000 0.0000
Ni5 0.0000 0.5000 0.5000
Ni6 0.2436 0.3736 0.3774
Ni7 0.2443 0.3763 0.1283
Ir1 0.0000 0.2382 0.5000
Ir2 0.0000 0.5000 0.2514
```

Record 5
Ni5IrSe12: computed powder X-ray diffraction pattern (Cu Kα), based on DFT lattice parameters and positions (PBE).

Largest 10 diffraction maxima, sorted by position, 2θ = 5–70°:
Position (°2θ)	I_rel
16.89	100
29.74	38
33.27	100
33.38	47
38.51	38
38.65	61
50.57	31
51.09	43
51.21	40
52.57	24

Atomic structure:
```
data_Ni5IrSe12
_chemical_formula_sum 'Ni10 Ir2 Se24'
_symmetry_space_group_name_H-M 'C 1 2/m 1'
_symmetry_Int_Tables_number 12
_symmetry_space_group_name_Hall '-C 2y'
_cell_length_a 6.2869
_cell_length_b 10.8303
_cell_length_c 10.5009
_cell_angle_alpha 90.00
_cell_angle_beta 90.43
_cell_angle_gamma 90.00
-- stop --
To do:
It remains to echo only the lines earlier on with the word "data_Ni5IrSe12" in them.
Here it is:
data_Ni5IrSe12